Job.
Duplicate the notes further down without altering anything.

Source.
Formula: C51H78N3O3S4SbW
Source: OMol25
Level of theory: ωB97M-V with the def2-TZVPD basis set

HOMO: -7.8 eV
E_LUMO: -1.5 eV
Kohn-Sham gap: 6.28 eV
Relative energy (zero: lowest compared OMol25 entry of this formula, charge and spin): 0.00 kJ/mol

```
! RIJCOSX wB97M-V def2-TZVPD def2/J DEFGRID3
* xyz 0 1
W -0.12 -0.62 -1.15
C 6.65 -1.25 3.39
C 5.40 -0.57 3.98
C 4.96 -1.36 5.21
C 5.77 0.85 4.43
C 4.31 -0.50 2.91
C 3.09 -1.14 3.03
C 2.11 -1.03 2.05
C 0.80 -1.73 2.36
N -0.29 -0.82 2.64
C -1.56 -1.47 2.84
C -2.71 -0.54 2.45
N -2.52 0.05 1.13
C -2.63 1.50 1.09
C -1.58 2.24 1.92
N -0.20 1.82 1.70
C 0.49 1.50 2.95
C -0.02 0.23 3.61
C 0.61 2.77 0.98
C 0.23 3.19 -0.42
C 0.77 4.43 -0.77
C 0.62 4.98 -2.03
C -0.29 4.35 -2.86
C -0.95 3.17 -2.54
C -0.51 2.49 -1.38
O -0.80 1.15 -1.18
C -2.17 2.85 -3.41
C -3.07 1.77 -2.84
C -1.73 2.49 -4.84
C -3.05 4.12 -3.47
C 1.34 6.25 -2.48
C 0.32 7.33 -2.84
C 2.28 6.79 -1.41
C 2.18 5.90 -3.72
C -3.38 -0.57 0.14
C -3.28 -2.08 0.10
C -4.45 -2.81 0.18
C -4.46 -4.20 0.10
C -3.23 -4.82 -0.07
C -2.01 -4.15 -0.16
C -2.07 -2.76 -0.06
O -0.94 -1.98 -0.16
C -0.75 -4.98 -0.47
C -0.50 -4.90 -1.99
C -0.95 -6.46 -0.10
C 0.50 -4.52 0.28
C -5.78 -4.96 0.19
C -6.42 -4.69 1.56
C -5.59 -6.47 0.03
C -6.72 -4.48 -0.92
C 2.35 -0.28 0.89
O 1.31 -0.13 0.01
C 3.61 0.35 0.71
C 4.53 0.21 1.74
C 4.11 1.04 -0.58
C 5.41 1.84 -0.36
C 3.12 2.04 -1.16
C 4.44 -0.06 -1.60
H 7.44 -1.30 4.14
H 7.03 -0.70 2.53
H 6.41 -2.26 3.06
H 5.76 -1.36 5.95
H 4.73 -2.40 4.96
H 4.07 -0.91 5.67
H 6.54 0.82 5.19
H 4.90 1.36 4.84
H 6.14 1.46 3.60
H 2.86 -1.72 3.91
H 0.99 -2.42 3.20
H 0.49 -2.34 1.51
H -1.71 -1.81 3.88
H -1.60 -2.36 2.22
H -2.80 0.26 3.19
H -3.65 -1.10 2.50
H -3.63 1.83 1.45
H -2.55 1.80 0.05
H -1.81 2.14 2.98
H -1.70 3.31 1.70
H 0.44 2.33 3.67
H 1.55 1.37 2.71
H -0.95 0.44 4.15
H 0.70 -0.09 4.38
H 1.62 2.37 0.95
H 0.68 3.72 1.55
H 1.37 4.93 -0.02
H -0.55 4.83 -3.80
H -2.58 0.80 -2.78
H -3.95 1.66 -3.47
H -3.41 2.04 -1.84
H -0.91 1.77 -4.83
H -1.39 3.37 -5.38
H -2.56 2.05 -5.40
H -3.37 4.41 -2.47
H -3.94 3.91 -4.06
H -2.54 4.97 -3.92
H -0.30 7.58 -1.98
H -0.33 7.02 -3.65
H 0.84 8.24 -3.16
H 1.74 7.08 -0.50
H 2.79 7.68 -1.78
H 3.05 6.06 -1.13
H 1.55 5.53 -4.54
H 2.91 5.13 -3.49
H 2.72 6.78 -4.08
H -3.13 -0.16 -0.85
H -4.44 -0.32 0.32
H -5.38 -2.27 0.31
H -3.22 -5.90 -0.15
H -1.37 -5.28 -2.54
H 0.37 -5.50 -2.26
H -0.32 -3.88 -2.32
H -1.67 -6.96 -0.75
H -1.26 -6.58 0.94
H 0.01 -6.97 -0.22
H 0.83 -3.52 -0.01
H 1.32 -5.20 0.06
H 0.34 -4.53 1.36
H -5.76 -5.03 2.36
H -7.37 -5.22 1.64
H -6.61 -3.63 1.70
H -4.95 -6.88 0.82
H -5.14 -6.72 -0.93
H -6.56 -6.96 0.09
H -6.94 -3.41 -0.83
H -7.66 -5.02 -0.87
H -6.28 -4.64 -1.91
H 5.49 0.69 1.63
H 5.30 2.58 0.43
H 5.63 2.37 -1.29
H 6.27 1.20 -0.14
H 3.04 2.91 -0.50
H 2.13 1.64 -1.30
H 3.48 2.40 -2.13
H 5.23 -0.72 -1.20
H 4.81 0.38 -2.53
H 3.58 -0.68 -1.82
S -1.71 -1.48 -2.73
Sb -0.65 -1.11 -4.92
S 1.51 -1.99 -2.24
S 1.23 -0.19 -3.17
S 0.19 -3.12 -5.33
*
```

=====

Formula: C51H83F3N5O9S
Source: OMol25
Level of theory: ωB97M-V with the def2-TZVPD basis set

HOMO (spin up / spin down): -8.1 / -8.1 eV
E_LUMO (spin up / spin down): 0.2 / -0.2 eV
⟨S²⟩: 3.763
Kohn-Sham gap (spin up / spin down): 8.28 / 7.90 eV

```
! RIJCOSX wB97M-V def2-TZVPD def2/J DEFGRID3
* xyz 0 4
C -4.02 4.59 0.00
C -3.33 4.00 1.32
O -2.94 2.60 1.23
C -2.21 2.33 0.04
C -0.74 2.78 -0.08
C 0.12 2.52 -1.38
C -0.61 1.73 -2.50
C -2.10 1.23 -2.37
O -2.65 0.48 -3.45
C -2.94 1.53 -1.11
N -4.34 1.15 -0.87
C -5.23 1.41 -2.04
C -4.48 -0.20 -0.33
C -3.30 -0.99 0.46
O -5.58 -0.84 -0.43
N 1.50 3.01 -1.45
C 2.13 2.76 -2.77
O 3.23 3.74 -2.88
C 3.98 3.48 -4.10
O 4.81 4.67 -4.31
C 6.19 4.27 -4.49
C 6.82 3.99 -3.03
O 6.71 5.12 -2.14
C 2.34 2.57 -0.32
C 3.72 1.85 -0.46
C 4.58 1.44 0.77
C 4.10 1.71 2.23
C 2.70 2.41 2.38
C 2.20 2.65 3.88
C 1.17 1.50 4.39
C 1.87 0.04 4.39
F 1.68 -0.58 3.13
F 3.25 0.08 4.74
F 1.23 -0.78 5.38
C 1.86 2.84 1.16
S 0.19 3.67 1.28
H -3.21 4.79 -0.78
H -4.57 5.55 0.33
H -4.71 3.79 -0.42
H -4.10 4.08 2.17
H -2.40 4.60 1.66

Outcome.
Formula: C51H78N3O3S4SbW
Source: OMol25
Level of theory: ωB97M-V with the def2-TZVPD basis set

HOMO: -7.8 eV
E_LUMO: -1.5 eV
Kohn-Sham gap: 6.28 eV
Relative energy (zero: lowest compared OMol25 entry of this formula, charge and spin): 0.00 kJ/mol

```
! RIJCOSX wB97M-V def2-TZVPD def2/J DEFGRID3
* xyz 0 1
W -0.12 -0.62 -1.15
C 6.65 -1.25 3.39
C 5.40 -0.57 3.98
C 4.96 -1.36 5.21
C 5.77 0.85 4.43
C 4.31 -0.50 2.91
C 3.09 -1.14 3.03
C 2.11 -1.03 2.05
C 0.80 -1.73 2.36
N -0.29 -0.82 2.64
C -1.56 -1.47 2.84
C -2.71 -0.54 2.45
N -2.52 0.05 1.13
C -2.63 1.50 1.09
C -1.58 2.24 1.92
N -0.20 1.82 1.70
C 0.49 1.50 2.95
C -0.02 0.23 3.61
C 0.61 2.77 0.98
C 0.23 3.19 -0.42
C 0.77 4.43 -0.77
C 0.62 4.98 -2.03
C -0.29 4.35 -2.86
C -0.95 3.17 -2.54
C -0.51 2.49 -1.38
O -0.80 1.15 -1.18
C -2.17 2.85 -3.41
C -3.07 1.77 -2.84
C -1.73 2.49 -4.84
C -3.05 4.12 -3.47
C 1.34 6.25 -2.48
C 0.32 7.33 -2.84
C 2.28 6.79 -1.41
C 2.18 5.90 -3.72
C -3.38 -0.57 0.14
C -3.28 -2.08 0.10
C -4.45 -2.81 0.18
C -4.46 -4.20 0.10
C -3.23 -4.82 -0.07
C -2.01 -4.15 -0.16
C -2.07 -2.76 -0.06
O -0.94 -1.98 -0.16
C -0.75 -4.98 -0.47
C -0.50 -4.90 -1.99
C -0.95 -6.46 -0.10
C 0.50 -4.52 0.28
C -5.78 -4.96 0.19
C -6.42 -4.69 1.56
C -5.59 -6.47 0.03
C -6.72 -4.48 -0.92
C 2.35 -0.28 0.89
O 1.31 -0.13 0.01
C 3.61 0.35 0.71
C 4.53 0.21 1.74
C 4.11 1.04 -0.58
C 5.41 1.84 -0.36
C 3.12 2.04 -1.16
C 4.44 -0.06 -1.60
H 7.44 -1.30 4.14
H 7.03 -0.70 2.53
H 6.41 -2.26 3.06
H 5.76 -1.36 5.95
H 4.73 -2.40 4.96
H 4.07 -0.91 5.67
H 6.54 0.82 5.19
H 4.90 1.36 4.84
H 6.14 1.46 3.60
H 2.86 -1.72 3.91
H 0.99 -2.42 3.20
H 0.49 -2.34 1.51
H -1.71 -1.81 3.88
H -1.60 -2.36 2.22
H -2.80 0.26 3.19
H -3.65 -1.10 2.50
H -3.63 1.83 1.45
H -2.55 1.80 0.05
H -1.81 2.14 2.98
H -1.70 3.31 1.70
H 0.44 2.33 3.67
H 1.55 1.37 2.71
H -0.95 0.44 4.15
H 0.70 -0.09 4.38
H 1.62 2.37 0.95
H 0.68 3.72 1.55
H 1.37 4.93 -0.02
H -0.55 4.83 -3.80
H -2.58 0.80 -2.78
H -3.95 1.66 -3.47
H -3.41 2.04 -1.84
H -0.91 1.77 -4.83
H -1.39 3.37 -5.38
H -2.56 2.05 -5.40
H -3.37 4.41 -2.47
H -3.94 3.91 -4.06
H -2.54 4.97 -3.92
H -0.30 7.58 -1.98
H -0.33 7.02 -3.65
H 0.84 8.24 -3.16
H 1.74 7.08 -0.50
H 2.79 7.68 -1.78
H 3.05 6.06 -1.13
H 1.55 5.53 -4.54
H 2.91 5.13 -3.49
H 2.72 6.78 -4.08
H -3.13 -0.16 -0.85
H -4.44 -0.32 0.32
H -5.38 -2.27 0.31
H -3.22 -5.90 -0.15
H -1.37 -5.28 -2.54
H 0.37 -5.50 -2.26
H -0.32 -3.88 -2.32
H -1.67 -6.96 -0.75
H -1.26 -6.58 0.94
H 0.01 -6.97 -0.22
H 0.83 -3.52 -0.01
H 1.32 -5.20 0.06
H 0.34 -4.53 1.36
H -5.76 -5.03 2.36
H -7.37 -5.22 1.64
H -6.61 -3.63 1.70
H -4.95 -6.88 0.82
H -5.14 -6.72 -0.93
H -6.56 -6.96 0.09
H -6.94 -3.41 -0.83
H -7.66 -5.02 -0.87
H -6.28 -4.64 -1.91
H 5.49 0.69 1.63
H 5.30 2.58 0.43
H 5.63 2.37 -1.29
H 6.27 1.20 -0.14
H 3.04 2.91 -0.50
H 2.13 1.64 -1.30
H 3.48 2.40 -2.13
H 5.23 -0.72 -1.20
H 4.81 0.38 -2.53
H 3.58 -0.68 -1.82
S -1.71 -1.48 -2.73
Sb -0.65 -1.11 -4.92
S 1.51 -1.99 -2.24
S 1.23 -0.19 -3.17
S 0.19 -3.12 -5.33
*
```

=====

Formula: C51H83F3N5O9S
Source: OMol25
Level of theory: ωB97M-V with the def2-TZVPD basis set

HOMO (spin up / spin down): -8.1 / -8.1 eV
E_LUMO (spin up / spin down): 0.2 / -0.2 eV
⟨S²⟩: 3.763
Kohn-Sham gap (spin up / spin down): 8.28 / 7.90 eV

```
! RIJCOSX wB97M-V def2-TZVPD def2/J DEFGRID3
* xyz 0 4
C -4.02 4.59 0.00
C -3.33 4.00 1.32
O -2.94 2.60 1.23
C -2.21 2.33 0.04
C -0.74 2.78 -0.08
C 0.12 2.52 -1.38
C -0.61 1.73 -2.50
C -2.10 1.23 -2.37
O -2.65 0.48 -3.45
C -2.94 1.53 -1.11
N -4.34 1.15 -0.87
C -5.23 1.41 -2.04
C -4.48 -0.20 -0.33
C -3.30 -0.99 0.46
O -5.58 -0.84 -0.43
N 1.50 3.01 -1.45
C 2.13 2.76 -2.77
O 3.23 3.74 -2.88
C 3.98 3.48 -4.10
O 4.81 4.67 -4.31
C 6.19 4.27 -4.49
C 6.82 3.99 -3.03
O 6.71 5.12 -2.14
C 2.34 2.57 -0.32
C 3.72 1.85 -0.46
C 4.58 1.44 0.77
C 4.10 1.71 2.23
C 2.70 2.41 2.38
C 2.20 2.65 3.88
C 1.17 1.50 4.39
C 1.87 0.04 4.39
F 1.68 -0.58 3.13
F 3.25 0.08 4.74
F 1.23 -0.78 5.38
C 1.86 2.84 1.16
S 0.19 3.67 1.28
H -3.21 4.79 -0.78
H -4.57 5.55 0.33
H -4.71 3.79 -0.42
H -4.10 4.08 2.17
H -2.40 4.60 1.66